Tuesday, May 29, 2007

Personal Learning Knowledge Work Environment

I've been reading a lot over the past few months around Personal Learning Environments and a lot of related material. What sparks this post is the combination of a recent post by Stephen Downes that includes a brief exchange with Jay Cross in the comments and some interesting discussions in the Enterprise 2.0 world that included a post by Bill Ives - Managing Personal Knowledge: Setting a Foundation for Transformation? In it, he points out that a stepping stone to Enterprise 2.0 adoption is getting folks to manage their personal knowledge and adopt practices like blogging for personal knowledge management (PKM) and personal learning.

What this has come to make me realize is that for the vast majority of knowledge workers (including myself), there should be no separation between my Personal Learning Environment (PLE), my Personal Knowledge Management system, and my day-to-day set of tools that enhance my knowledge worker productivity. Learning-Knowledge-Work - they really are the same and I need to do them all at once. (See also Knowledge Work Not Separate from Learning). As I compose this blog post, which am I doing? All.

Maybe there are some distinctions between personal knowledge management, personal learning and knowledge productivity. I can't claim that I really understand these distinctions, but I can say with certainty that systems or environments that provide support for these need to operate together. If you make these independent and distinct, it will be really annoying for us knowledge workers.

So, any suggestion on what the name for this system (or environment) should be? Certainly PLE and PKM would seem to be too limited, right?

And, if there's really only one environment, then what's in it?

For now, my sense is that we are all experimenting with different solutions pulled together from different tools. Take a look at a few of the following for examples:
These would seem to be summed up pretty well by Graham Attwell in Questions and Answers on Peronal Learning Environments:
Yes, I do have my own PLE, comprised of a ‘mash up’ of different desktop and web based applications I use for my everyday work and increasingly reliant on local and web based services. It isn’t particularly efficient and it has some pretty big gaps at the moment – but I hope to develop it further over the next year. Central to my PLE is the people I work with and the applications I use for communication with those people.
There's been quite a bit of other discussion around what these things might be:
And if those aren't enough you can go to PLE Links and the PLE Wiki.

One thing that I'm left wondering is how this is different from all the discussion around productivity.

For me it's become more a question of the day-to-day processes I use on top of these tools and how the tools have adjusted how I do things. My life is different now than before I used an RSS reader and wrote a blog. It's also different since I adopted the practice of taking notes only on my laptop and heavy use of desktop search instead of trying organize things as much.

I'm not sure how to make sense of all of this yet, but I know things have changed and I'm not sure that discussing Personal Learning Environments separate from the rest of these changes is helping me.


  1. Yesterday I wrote in a yet-to-be finished white paper,

    "Learning with web 2.0 involves situated action, collaboration, coaching, and reflection -- not classes. Before web 2.0, instructors and instructional designers shaped the learning environment. The new learning is apt to be self-service, with workers serving as their own instructional designers and instructors.

    An individual’s network for learning and working (which are the same thing) is an ever-changing collection of tools, links, and relationships: small pieces, loosely joined. New pieces are always being added on, as old ones are falling away. There is no center; where you enter depends upon what you are trying to accomplish."

    My work environment includes online portals, bookshelves, a telephone or two, and more. From what I read in the blogosphere, most people who use "PLE" are thinking primarily about the computer-mediated aspects. The term I'm starting to use for this is "interface." It can be my interface, my personal interface, my electronic interface but if it relies on the net on one end and me on the other, my interface is my end of the connection.

    Schools contend that the world comes in two flavors: in school and real life outside. It's time to stamp out this fiction. I fear that some of the PLE supporters want it understood that the "L" realm is their turf. Sorry, guys, no one has the monopoly on learning.

  2. Part of the problem with the term "Personal Learning Environment" is that many of its proponents don't readily acknowledge that the notion of a PLE is a construct.

    As both you and Jay point out, the personal learning environment is about learning. Technology is a tool/mechanism in that process. For some people, these tools/mechanisms include a usb key, a tivo -- Jay includes the bookshelf and the telephone -- I'd include the smart person you talk with at the coffeeshop or the pub --

    In looking at the elements of learning Jay cites -- "situated action, collaboration, coaching, and reflection" -- these elements of learning are all present outside technology.

    Basically, our "PLE" is what we see after we open our eyes in the morning, and we continue to see our "PLE" as we progress thoughout our day. The technological aspects of learning blur the lines because they allow for simultaneous reflection, meta-reflection, conversation, collaboration, and finding others with similar interests -- the technological piece is interesting because it limits the effect of geography and time --

    However, how many times has someone approached you to talk about a book you were reading in a public place? Online profiles mimic this type of interaction, but, for all the obvious reasons, we will never be able to craft an algorithm that replaces the richness of face to face interaction -- for this reason alone, the notion of a PLE bound by what technology can offer will fall far short of what true personal learning should be.

Someone pasted records of molecules at this point
┌──
{
  "formula": "C22H52CuN3O6",
  "method": "ωB97M-V with the def2-TZVPD basis set",
  "elements": ["Cu", "O", "O", "O", "O", "O", "O", "N", "N", "N", "C", "C", "C", "C", "C", "C", "C", "C", "C", "C", "C", "C", "C", "C", "C", "C", "C", "C", "C", "C", "C", "C", "H", "H", "H", "H", "H", "H", "H", "H", "H", "H", "H", "H", "H", "H", "H", "H", "H", "H", "H", "H", "H", "H", "H", "H", "H", "H", "H", "H", "H", "H", "H", "H", "H", "H", "H", "H", "H", "H", "H", "H", "H", "H", "H", "H", "H", "H", "H", "H", "H", "H", "H", "H"],
  "xyz": [[19.177, -18.352, 4.299], [17.987, -18.157, 2.378], [22.183, -16.717, 6.429], [15.787, -22.056, 2.924], [20.031, -19.856, 5.834], [16.808, -19.252, 6.877], [20.667, -16.393, 3.840], [23.571, -16.820, 6.208], [17.344, -16.847, 4.870], [18.541, -21.183, 3.652], [26.588, -17.177, 5.982], [20.302, -19.705, 7.235], [14.426, -21.937, 2.530], [18.487, -18.419, 1.107], [20.111, -21.230, 5.491], [15.963, -18.211, 6.516], [24.568, -16.582, 8.450], [16.759, -16.898, 6.211], [23.187, -18.571, 4.493], [16.350, -16.923, 3.774], [16.698, -21.278, 2.208], [16.216, -20.504, 7.301], [25.855, -15.918, 6.439], [17.124, -17.007, 2.459], [24.434, -16.018, 7.097], [23.882, -14.543, 7.179], [25.528, -17.974, 5.153], [24.062, -18.135, 5.701], [19.943, -21.398, 3.988], [18.233, -21.719, 2.354], [24.122, -19.242, 6.786], [21.010, -16.114, 2.508], [26.915, -17.787, 6.824], [16.631, -20.190, 2.192], [15.617, -21.066, 6.585], [17.695, -16.087, 2.340], [15.663, -16.077, 3.791], [22.085, -16.202, 2.350], [21.135, -21.506, 5.742], [16.419, -17.068, 1.630], [17.872, -21.411, 4.374], [22.125, -18.519, 4.734], [20.914, -15.036, 2.373], [18.847, -17.577, 0.515], [16.225, -15.950, 6.278], [15.262, -17.938, 7.305], [23.563, -14.193, 6.198], [19.372, -19.047, 1.202], [21.802, -16.668, 5.549], [24.668, -13.858, 7.497], [25.138, -17.499, 8.594], [25.796, -15.192, 5.627], [19.378, -21.744, 6.114], [14.123, -20.891, 2.497], [17.664, -16.883, 6.819], [20.800, -20.545, 7.720], [20.603, -20.751, 3.409], [23.485, -17.973, 3.632], [25.138, -19.415, 7.141], [17.079, -21.145, 7.482], [18.455, -22.784, 2.290], [13.833, -22.379, 3.330], [25.628, -17.508, 4.173], [23.819, -20.227, 6.430], [17.814, -15.955, 4.804], [23.017, -14.438, 7.833], [23.282, -19.640, 4.304], [20.377, -22.383, 3.817], [23.546, -16.729, 8.800], [20.421, -16.677, 1.785], [15.282, -18.554, 5.738], [26.500, -15.494, 7.209], [15.772, -17.840, 3.890], [24.982, -15.826, 9.118], [14.157, -22.425, 1.594], [25.915, -18.983, 5.018], [20.943, -18.845, 7.430], [23.548, -18.960, 7.669], [27.449, -16.847, 5.400], [17.760, -18.979, 0.518], [18.892, -21.273, 1.610], [16.534, -21.550, 1.165], [15.766, -20.495, 8.294], [19.369, -19.449, 7.736]],
└──
Here the article continues



  3. I totally agree with you Tony that there is little/no distinction between personal learning and personal knowledge management. In this post, I argued that actually learning and knowledge management can be viewed as 2 sides of the same coin.

  4. As a High School Teacher currently doing Grad Studies the topic of PLE's intrigues me. One area I have to deal with is student motivation in that they don't always know which direction their learning should go in. Considering this has lead me to investigate the combination of a personal expert system that builds advice on potential areas of development they should enquire into based on their level of curiousity. A knowledge engine that provides suggestions on how to build on their personal learning environment. Web based expert system shells combined with Web 2.0, PLE environments could provide motivation to drive individuals to their potential. Somehow I have to develop a workable, acheivable project based on these ideas. Any thoughts?
